CAREER DAY – MAKING IT MANAGEABLE AND MEANINGFUL Carrie Jackson Tiffany Ward Swansboro Middle School
WHY DO A CAREER DAY? Students begin exploration of career options Community involvement Staff connections/involvement High school course planning ASCA Mindsets and Behaviors/NC Essential Standards covered
DIFFERENT FORMS OF CAREER DAY Career Fair Students rotate around booths Interest-driven Career Day Speakers Assembly with guest speakers Fewer career options Career Showcase/Expo Students participate in activities Heavy focus on trades Career Day “Conference” Multiple presenters/multiple “sessions” Students choose sessions Random sessions are assigned to fill spaces
“CONFERENCE” STYLE CAREER DAY Held on Early Release Day Only career activities are done on this day Students attend three career day sessions Send out a schedule of the dayschedule Contact your cafeteria/office staff/other essential personnel – whole school participation!! Students are integrated (no division between 6 th, 7 th, and 8 th grade) Teachers allowed to rotate among sessions, as long as a staff member is in a room with students and a presenter
=====
[1]
Density functional theory data (GGA-PBE) for an optimized crystal structure of Pr6Te3As2Pb.

POSCAR file:
```
Pr6Te3As2Pb
1.0
9.8006 -2.2234 0.0000
9.8006 2.2234 0.0000
-2.2099 0.0000 8.7592
Pr Te As Pb
6 3 2 1
Direct
0.0080 0.0080 0.2516
0.3265 0.3265 0.4315
0.3327 0.3327 0.8954
0.6673 0.6673 0.1046
0.6735 0.6735 0.5685
0.9920 0.9920 0.7484
0.1644 0.1644 0.8321
0.5000 0.5000 0.5000
0.8356 0.8356 0.1679
0.1683 0.1683 0.3358
0.8317 0.8317 0.6642
0.5000 0.5000 0.0000
```

SG: C2/m
Energy relative to the elements, uncorrected (eV/atom): -1.3639
DOS(E_F) (states/eV per cell): 5.15

[2]
Density functional theory data (GGA-PBE) for an optimized crystal structure of HgSb2S2Br2.

POSCAR file:
```
HgSb2S2Br2
1.0
3.8008 0.0000 0.0000
1.6347 7.6381 0.0000
1.2944 3.4172 7.9403
Hg Sb S Br
1 2 2 2
Direct
0.0000 0.0000 0.0000
0.4186 0.6345 0.5814
0.5814 0.3655 0.4186
0.0993 0.1787 0.6018
0.9007 0.8213 0.3982
0.2812 0.2536 0.0264
0.7188 0.7464 0.9736
```

SG: P-1
Energy relative to the elements, uncorrected (eV/atom): -0.2160

[3]
Density functional theory data (GGA-PBE) for an optimized crystal structure of Pt2WSe.

POSCAR file:
```
Pt2WSe
1.0
2.8615 0.0000 0.0000
0.0000 4.1008 0.0000
-0.5102 0.0000 5.5894
Pt W Se
2 1 1
Direct
0.0630 0.0000 0.2374
0.9370 0.0000 0.7626
0.5000 0.5000 0.0000
0.5000 0.5000 0.5000
```

SG: P2/m
Energy relative to the elements, uncorrected (eV/atom): 0.1955
DOS(E_F) (states/eV per cell): 3.52

[4]
Density functional theory data (GGA-PBE) for an optimized crystal structure of Ta2TePt.

POSCAR file:
```
Ta2TePt
1.0
3.4345 0.0000 0.0000
0.0000 3.4345 0.0000
0.0000 0.0000 6.5714
Ta Te Pt
2 1 1
Direct
0.0000 0.0000 0.0000
0.5000 0.5000 0.2539
0.0000 0.0000 0.4933
0.5000 0.5000 0.8133
```

SG: P4mm
Energy relative to the elements, uncorrected (eV/atom): -0.1532
DOS(E_F) (states/eV per cell): 3.74

----------

# 1
The following is a DFT calculation (GGA-PBE) of crystalline Ca3HfSb at its relaxed geometry.

```
Ca3HfSb
1.0
5.858 0.000 0.000
0.000 5.858 0.000
0.000 0.000 5.858
Ca Hf Sb
3 1 1
Direct
0.000 0.000 0.500
0.000 0.500 0.000
0.500 0.000 0.000
0.500 0.500 0.500
0.000 0.000 0.000
```

Crystal system: cubic
SG: Pm-3m (221)

# 2
The following is a DFT calculation (GGA-PBE) of crystalline Ca3HfSb at its relaxed geometry.

```
Ca3HfSb
1.0
5.688 0.000 0.000
0.000 5.688 0.000
0.000 0.000 5.688
Ca Hf Sb
3 1 1
Direct
0.000 0.000 0.500
0.000 0.500 0.000
0.500 0.000 0.000
0.000 0.000 0.000
0.500 0.500 0.500
```
=====
PRESENTER INFORMATION Letters mailed, ed, and hand delivered Forms sent home with every student Staff members who had previous careers invited to present Get one (or more if interest is there) of your teachers to present on teaching Staff members provide us with at least one person we can contact about presenting Presenters RSVP on a GoogleDocRSVP GoogleDoc used to keep track of presenter data
PRESENTER INFORMATION, CONT. Presenters committed are contacted week prior to event Nametags createdNametags Student tour guides are available morning of Presenters given a “talking points” sheettalking points Presenters stay in same room – students rotate to them Hand-written thank you cards mailed to presenters
STUDENTS CHOOSE SESSIONS Once presenters are secured, students take a Career Day SurveySurvey For our Career Day, students picked three sessions Sessions that weren’t full were then filled so that session numbers were balanced Took a LONG time – we learned from our mistake! For our 2014 & 2015 Career Day, students picked their top choice and one alternate We hand scheduled all 800 students Instead of having to shift and move students, students were placed by first choice and then assigned two random sessions – MUCH easier Only took two hours
STUDENTS CHOOSE SESSIONS, CONT. Nametags were created for every student through a mail merge Nametags given to Advisory teachers the day before Career Day Students checked their nametags for duplicate sessions and hand- wrote room numbers Students hand-wrote versus being printed so conversation took place about where rooms were located on our campus Morning of, students received their nametags and wore them Staff could view nametags to help students navigate and ensure they were in the correct session(s) and not with their friends!
CAREER DAY ACTIVITIES We are a 1:1 campus except for 6 th grade Activities were created with this in mind 6 th Grade completed worksheets RIASEC worksheet created by counselorsworksheet Goal setting worksheetworksheet 7 th Grade created CFNC accounts and took the Career KeyCFNC Completed on their individual computers If they finished early, they explored careers listed under their Holland code 8 th Grade explored chosen career explored Used OOH and CFNC to research a career they were interested in Worksheet was completed on Edmodo
PRE/POST SURVEYS For the Career Day we conducted a pre-survey to determine careers of interest Students were disappointed when careers they chose were not present at Career Day Students and staff provided feedback on a post-survey after Career Day Used data from the post-survey in school year to make adjustments to Career Day Post-survey used again for Career DayPost-survey Staff members also completed a post-survey Staff Results will be used for next year’s Career Day Ideas we are taking from it Labeled hallways Sessions on college information
TIMELINE One to two months before: Invite presenters, make deadline a month before Career Day date Send home Career Day letter with students One week before: Contact presenters again Student news promotes Career Day Send out schedule to all staff members for Career Day (time blocks, lunch schedule, advisory, etc.) Week of: Make student schedules Make student nametags Make presenter nametags Give staff a layout of who is presenting where (room #s) Day before: Order refreshments Students review nametags and room numbers Tour Guides selected
TIMELINE, CONT. Day of: Set up refreshment area Students receive nametags Welcome guest speakers Guest speaker photo Students complete Career Day activities Students complete post-survey School staff complete post-survey Day after: Write and mail thank you letters Analyze survey data
IMPLICATIONS OF CAREER DAY – WHAT NOW? Field trip Planned for local community college for those students who selected a career requiring a two-year degree or trade certification Data on students’ outlook on Career Day 2014 Those who rated 1 or 2 were spoken to individually to see what concerns there were Overall, on a scale from 1-5, students ranked Career Day being meaningful at a 3.8 Career Day Survey 2015 Our school has become “survey-heavy” so we are delaying our survey for the moment
CAREER DAY SUGGESTIONS FROM THE AUDIENCE Students create a Resume for their session speaker/ one resume pulled and student receives a prize for completing it Meet and Greet Breakfast; Invite 8 th graders to have breakfast with the presenters Student Thank You Notes to Last Presenter Game of Life Vendors/ Career Fair Style Employ, Enlist, and Enroll- A school moto for post high school options Headbands Game- Students guess the career Invite 21 st Century Speakers